~~~
1.
The following is a DFT calculation (PBE) of CeHgB2O6 after structural relaxation.

Space group: No. 15
Crystal system: monoclinic
Formation energy without anion corrections: -2258.9 meV per atom

a b c (Å): 6.609 6.609 7.050
angles (deg): 106.22 106.22 99.28
Sites, in units of the cell vectors:
Ce 0.081 0.919 0.750
Ce 0.919 0.081 0.250
Hg 0.409 0.591 0.250
Hg 0.591 0.409 0.750
B 0.101 0.402 0.777
B 0.402 0.101 0.277
B 0.598 0.899 0.723
B 0.899 0.598 0.223
O 0.003 0.203 0.614
O 0.051 0.590 0.762
O 0.203 0.003 0.114
O 0.250 0.378 0.947
O 0.378 0.250 0.447
O 0.410 0.949 0.738
O 0.590 0.051 0.262
O 0.622 0.750 0.553
O 0.750 0.622 0.053
O 0.797 0.997 0.886
O 0.949 0.410 0.238
O 0.997 0.797 0.386

2.
The following is a DFT calculation (PBE) of Ce2HoB9 after structural relaxation.

Space group: No. 166
Crystal system: trigonal
ΔH_f (0 K): -169 meV per atom

a b c (Å): 9.669 9.669 9.669
angles (deg): 26.48 26.48 26.48
Sites, in units of the cell vectors:
Ce 0.118 0.118 0.118
Ce 0.882 0.882 0.882
Ho 0.000 0.000 0.000
B 0.028 0.394 0.394
B 0.394 0.028 0.394
B 0.394 0.394 0.028
B 0.405 0.405 0.405
B 0.500 0.500 0.500
B 0.595 0.595 0.595
B 0.606 0.606 0.972
B 0.606 0.972 0.606
B 0.972 0.606 0.606

| no. | total moment (Bohr magnetons per cell) |
| --- | --- |
| 1 | 0.0 |
| 2 | 0.0 |


Entry 1:
The following is a DFT calculation (PBE) of an optimized crystal structure of BeAgHg2.

Lattice parameters (Å, degrees): 3.1184 3.1184 8.4929 90.00 90.00 114.52
Closest atoms and distances in Å follow each position.
Atoms (fractional coordinates):
Be  0.5000  0.5000  0.7500  4 Hg 2.51
Hg  0.0000  0.0000  0.9690  2 Be 2.51
Hg  0.0000  0.0000  0.5310  2 Be 2.51
Ag  0.5000  0.5000  0.2500  4 Hg 2.92, 4 Ag 3.12

## Properties
ΔH_f (0 K)	141	kJ/mol of formula units
total moment	0.0	μB/cell

=====

Entry 2:
The following is a DFT calculation (PBE) of an optimized crystal structure of BeAgHg2.

Lattice parameters (Å, degrees): 5.4797 5.4797 5.4797 147.59 119.28 70.53
Closest atoms and distances in Å follow each position.
Atoms (fractional coordinates):
Be  0.2500  0.7500  0.5000  4 Hg 2.47
Hg  0.0335  0.0335  0.0000  2 Be 2.47
Hg  0.4665  0.4665  0.0000  2 Be 2.47
Ag  0.7500  0.2500  0.5000  4 Hg 2.96, 2 Ag 3.06, 4 Be 3.16

## Properties
ΔH_f (0 K)	133	kJ/mol of formula units
total moment	0.0	μB/cell

=====

Entry 3:
The following is a DFT calculation (PBE) of an optimized crystal structure of BeAgHg2.

Lattice parameters (Å, degrees): 8.4666 8.4666 6.4562 49.03 49.03 90.00
Closest atoms and distances in Å follow each position.
Atoms (fractional coordinates):
Be  0.5000  0.5000  0.0000  2 Ag 2.42, 4 Hg 2.47
Be  0.2500  0.7500  0.5000  2 Ag 2.42, 4 Hg 2.47
Hg  0.5072  0.1250  0.2500  2 Be 2.47
Hg  0.2428  0.6250  0.2500  2 Be 2.47
Hg  0.3750  0.4928  0.7500  2 Be 2.47
Hg  0.8750  0.7572  0.7500  2 Be 2.47
Ag  0.0000  0.0000  0.0000  2 Be 2.42
Ag  0.7500  0.2500  0.5000  2 Be 2.42

## Properties
ΔH_f (0 K)	136	kJ/mol of formula units
total moment	0.0	μB/cell

=====

Entry 4:
The following is a DFT calculation (PBE) of an optimized crystal structure of Be4AgHg.

Lattice parameters (Å, degrees): 4.6364 4.6364 4.6364 60.00 60.00 60.00
Closest atoms and distances in Å follow each position.
Atoms (fractional coordinates):
Be  0.3744  0.8767  0.3744  6 Be 2.31-2.33
Be  0.8767  0.3744  0.3744  6 Be 2.31-2.33
Be  0.3744  0.3744  0.8767  6 Be 2.31-2.33
Be  0.3744  0.3744  0.3744  6 Be 2.31-2.33
Ag  0.0000  0.0000  0.0000  12 Be 2.72, 4 Hg 2.84
Hg  0.7500  0.7500  0.7500  12 Be 2.72, 4 Ag 2.84

## Properties
ΔH_f (0 K)	107	kJ/mol of formula units
total moment	0.0	μB/cell

=====

Entry 5:
The following is a DFT calculation (PBE) of an optimized crystal structure of BeAgHg2.

Lattice parameters (Å, degrees): 6.5535 6.5535 4.3115 70.85 70.85 25.85
Closest atoms and distances in Å follow each position.
Atoms (fractional coordinates):
Be  0.2442  0.2442  0.2572  2 Ag 2.56, 6 Hg 2.60-2.79
Hg  0.9413  0.9413  0.0574  2 Be 2.79, 2 Hg 2.93, 4 Ag 3.03
~~~

Could you type out everything earlier on with every line break kept?

1.
The following is a DFT calculation (PBE) of CeHgB2O6 after structural relaxation.

Space group: No. 15
Crystal system: monoclinic
Formation energy without anion corrections: -2258.9 meV per atom

a b c (Å): 6.609 6.609 7.050
angles (deg): 106.22 106.22 99.28
Sites, in units of the cell vectors:
Ce 0.081 0.919 0.750
Ce 0.919 0.081 0.250
Hg 0.409 0.591 0.250
Hg 0.591 0.409 0.750
B 0.101 0.402 0.777
B 0.402 0.101 0.277
B 0.598 0.899 0.723
B 0.899 0.598 0.223
O 0.003 0.203 0.614
O 0.051 0.590 0.762
O 0.203 0.003 0.114
O 0.250 0.378 0.947
O 0.378 0.250 0.447
O 0.410 0.949 0.738
O 0.590 0.051 0.262
O 0.622 0.750 0.553
O 0.750 0.622 0.053
O 0.797 0.997 0.886
O 0.949 0.410 0.238
O 0.997 0.797 0.386

2.
The following is a DFT calculation (PBE) of Ce2HoB9 after structural relaxation.

Space group: No. 166
Crystal system: trigonal
ΔH_f (0 K): -169 meV per atom

a b c (Å): 9.669 9.669 9.669
angles (deg): 26.48 26.48 26.48
Sites, in units of the cell vectors:
Ce 0.118 0.118 0.118
Ce 0.882 0.882 0.882
Ho 0.000 0.000 0.000
B 0.028 0.394 0.394
B 0.394 0.028 0.394
B 0.394 0.394 0.028
B 0.405 0.405 0.405
B 0.500 0.500 0.500
B 0.595 0.595 0.595
B 0.606 0.606 0.972
B 0.606 0.972 0.606
B 0.972 0.606 0.606

| no. | total moment (Bohr magnetons per cell) |
| --- | --- |
| 1 | 0.0 |
| 2 | 0.0 |


Entry 1:
The following is a DFT calculation (PBE) of an optimized crystal structure of BeAgHg2.

Lattice parameters (Å, degrees): 3.1184 3.1184 8.4929 90.00 90.00 114.52
Closest atoms and distances in Å follow each position.
Atoms (fractional coordinates):
Be  0.5000  0.5000  0.7500  4 Hg 2.51
Hg  0.0000  0.0000  0.9690  2 Be 2.51
Hg  0.0000  0.0000  0.5310  2 Be 2.51
Ag  0.5000  0.5000  0.2500  4 Hg 2.92, 4 Ag 3.12

## Properties
ΔH_f (0 K)	141	kJ/mol of formula units
total moment	0.0	μB/cell

=====

Entry 2:
The following is a DFT calculation (PBE) of an optimized crystal structure of BeAgHg2.

Lattice parameters (Å, degrees): 5.4797 5.4797 5.4797 147.59 119.28 70.53
Closest atoms and distances in Å follow each position.
Atoms (fractional coordinates):
Be  0.2500  0.7500  0.5000  4 Hg 2.47
Hg  0.0335  0.0335  0.0000  2 Be 2.47
Hg  0.4665  0.4665  0.0000  2 Be 2.47
Ag  0.7500  0.2500  0.5000  4 Hg 2.96, 2 Ag 3.06, 4 Be 3.16

## Properties
ΔH_f (0 K)	133	kJ/mol of formula units
total moment	0.0	μB/cell

=====

Entry 3:
The following is a DFT calculation (PBE) of an optimized crystal structure of BeAgHg2.

Lattice parameters (Å, degrees): 8.4666 8.4666 6.4562 49.03 49.03 90.00
Closest atoms and distances in Å follow each position.
Atoms (fractional coordinates):
Be  0.5000  0.5000  0.0000  2 Ag 2.42, 4 Hg 2.47
Be  0.2500  0.7500  0.5000  2 Ag 2.42, 4 Hg 2.47
Hg  0.5072  0.1250  0.2500  2 Be 2.47
Hg  0.2428  0.6250  0.2500  2 Be 2.47
Hg  0.3750  0.4928  0.7500  2 Be 2.47
Hg  0.8750  0.7572  0.7500  2 Be 2.47
Ag  0.0000  0.0000  0.0000  2 Be 2.42
Ag  0.7500  0.2500  0.5000  2 Be 2.42

## Properties
ΔH_f (0 K)	136	kJ/mol of formula units
total moment	0.0	μB/cell

=====

Entry 4:
The following is a DFT calculation (PBE) of an optimized crystal structure of Be4AgHg.

Lattice parameters (Å, degrees): 4.6364 4.6364 4.6364 60.00 60.00 60.00
Closest atoms and distances in Å follow each position.
Atoms (fractional coordinates):
Be  0.3744  0.8767  0.3744  6 Be 2.31-2.33
Be  0.8767  0.3744  0.3744  6 Be 2.31-2.33
Be  0.3744  0.3744  0.8767  6 Be 2.31-2.33
Be  0.3744  0.3744  0.3744  6 Be 2.31-2.33
Ag  0.0000  0.0000  0.0000  12 Be 2.72, 4 Hg 2.84
Hg  0.7500  0.7500  0.7500  12 Be 2.72, 4 Ag 2.84

## Properties
ΔH_f (0 K)	107	kJ/mol of formula units
total moment	0.0	μB/cell

=====

Entry 5:
The following is a DFT calculation (PBE) of an optimized crystal structure of BeAgHg2.

Lattice parameters (Å, degrees): 6.5535 6.5535 4.3115 70.85 70.85 25.85
Closest atoms and distances in Å follow each position.
Atoms (fractional coordinates):
Be  0.2442  0.2442  0.2572  2 Ag 2.56, 6 Hg 2.60-2.79
Hg  0.9413  0.9413  0.0574  2 Be 2.79, 2 Hg 2.93, 4 Ag 3.03